_Wanted_
Next, give back all of the listing further below word for word.

_Listing_
The following is a DFT calculation (PBE+U) of a relaxed structure of Hg2WO4.

Results
- DFT formation energy: -140.0 kJ per mole of atoms
- Space group: C2/c (15)
- MP2020-corrected energy: -87.02 eV for the cell shown
- Energy: -5.189 eV/atom
- Crystal system: monoclinic

Cell: 7.4429 7.4429 5.0680 Å, 104.64 104.64 106.35°
Atoms (fractional coordinates):
Hg1 0.0282 0.2572 0.4760
Hg2 0.2572 0.0282 0.9760
Hg3 0.7428 0.9718 0.0240
Hg4 0.9718 0.7428 0.5240
W1 0.4062 0.5938 0.2500
W2 0.5938 0.4062 0.7500
O1 0.1669 0.5477 0.2970
O2 0.3195 0.4151 0.8470
O3 0.4151 0.3195 0.3470
O4 0.4523 0.8331 0.2030
O5 0.5477 0.1669 0.7970
O6 0.5849 0.6805 0.6530
O7 0.6805 0.5849 0.1530
O8 0.8331 0.4523 0.7030

* * * * *

No. 1
A relaxed Rb4MgU4Cr4O24 crystal. Source: the Materials Project database, functional GGA+U.

a b c (Å): 7.2666 8.3806 10.4666
angles (deg): 91.00 102.91 90.37
Last column: nearest neighbours and their distance in Å.
Atoms (fractional coordinates):
Rb 0.0000 0.0000 0.0000  4 O 2.86-3.08
Rb 0.0085 0.9953 0.5197  3 O 2.85-3.13
Rb 0.0339 0.5042 0.6744  4 O 2.77-3.03
Rb 0.0748 0.5175 0.2481  2 O 2.80-3.02
Mg 0.1965 0.3806 0.9631  4 O 1.93-2.04
U 0.5244 0.2754 0.5533  2 O 1.84-1.85
U 0.5242 0.7194 0.0379  2 O 1.85-1.95
U 0.5474 0.7821 0.6944  2 O 1.85
U 0.5667 0.2258 0.1942  2 O 1.84-1.91
Cr 0.4193 0.8958 0.3121  1 O 1.62
Cr 0.4459 0.1208 0.8313  3 O 1.75-1.88
Cr 0.6390 0.6145 0.4171  1 O 1.62
Cr 0.6832 0.3980 0.9257  3 O 1.74-1.86
O 0.1957 0.8864 0.3072  1 Cr 1.62
O 0.2287 0.1950 0.8495  1 Cr 1.75
O 0.2684 0.3165 0.5043  1 U 1.85
O 0.2779 0.6151 0.9812  1 U 1.95, 1 Mg 2.04
O 0.2949 0.7293 0.6352  1 U 1.85
O 0.3073 0.2798 0.1327  1 U 1.91, 1 Mg 1.98
O 0.4559 0.9598 0.1528  1 Cr 1.83
O 0.4627 0.0499 0.6634  1 Cr 1.88
O 0.4628 0.8953 0.8791  1 Cr 1.96
O 0.4836 0.6879 0.2597  2 Cr 1.89-1.91
O 0.5058 0.0987 0.3735  1 Cr 1.86
O 0.5210 0.3321 0.7716  2 Cr 1.85-2.00
O 0.5659 0.8176 0.4699  2 Cr 1.89-1.90
O 0.5702 0.4080 0.3592  1 Cr 1.85
O 0.6122 0.5489 0.5779  1 Cr 1.83
O 0.6190 0.6167 0.8682  1 Cr 1.97
O 0.6227 0.4572 0.0831  1 Cr 1.86
O 0.6292 0.1755 0.9803  2 Cr 1.86-2.02
O 0.7718 0.7827 0.1060  1 U 1.85
O 0.7796 0.2360 0.5997  1 U 1.84
O 0.8004 0.8413 0.7376  1 U 1.85
O 0.8213 0.1901 0.2541  1 U 1.84
O 0.8631 0.6340 0.4222  1 Cr 1.62
O 0.9257 0.3856 0.9395  1 Cr 1.74, 1 Mg 1.93

The relative energy among the computed polymorphs comes out at 3 meV per atom. Its space-group type is P1 (1).


No. 2
A relaxed FeC2O6 crystal. Source: the Materials Project database, functional GGA+U.

a b c (Å): 4.8252 8.3466 11.6014
angles (deg): 83.16 78.02 89.97
Last column: nearest neighbours and their distance in Å.
Atoms (fractional coordinates):
Fe 0.1249 0.3751 0.2500  6 O 2.02-2.04
Fe 0.3750 0.1249 0.7499  6 O 2.00-2.03
Fe 0.6250 0.8751 0.2501  6 O 2.00-2.03
Fe 0.8751 0.6249 0.7500  6 O 2.02-2.04
C 0.0718 0.6931 0.3524  3 O 1.28-1.29
C 0.1780 0.0570 0.1478  3 O 1.28-1.29
C 0.3254 0.4388 0.8518  3 O 1.28-1.29
C 0.4245 0.8111 0.6481  3 O 1.28-1.29
C 0.5755 0.1889 0.3519  3 O 1.28-1.29

_Outcome_
The following is a DFT calculation (PBE+U) of a relaxed structure of Hg2WO4.

Results
- DFT formation energy: -140.0 kJ per mole of atoms
- Space group: C2/c (15)
- MP2020-corrected energy: -87.02 eV for the cell shown
- Energy: -5.189 eV/atom
- Crystal system: monoclinic

Cell: 7.4429 7.4429 5.0680 Å, 104.64 104.64 106.35°
Atoms (fractional coordinates):
Hg1 0.0282 0.2572 0.4760
Hg2 0.2572 0.0282 0.9760
Hg3 0.7428 0.9718 0.0240
Hg4 0.9718 0.7428 0.5240
W1 0.4062 0.5938 0.2500
W2 0.5938 0.4062 0.7500
O1 0.1669 0.5477 0.2970
O2 0.3195 0.4151 0.8470
O3 0.4151 0.3195 0.3470
O4 0.4523 0.8331 0.2030
O5 0.5477 0.1669 0.7970
O6 0.5849 0.6805 0.6530
O7 0.6805 0.5849 0.1530
O8 0.8331 0.4523 0.7030

* * * * *

No. 1
A relaxed Rb4MgU4Cr4O24 crystal. Source: the Materials Project database, functional GGA+U.

a b c (Å): 7.2666 8.3806 10.4666
angles (deg): 91.00 102.91 90.37
Last column: nearest neighbours and their distance in Å.
Atoms (fractional coordinates):
Rb 0.0000 0.0000 0.0000  4 O 2.86-3.08
Rb 0.0085 0.9953 0.5197  3 O 2.85-3.13
Rb 0.0339 0.5042 0.6744  4 O 2.77-3.03
Rb 0.0748 0.5175 0.2481  2 O 2.80-3.02
Mg 0.1965 0.3806 0.9631  4 O 1.93-2.04
U 0.5244 0.2754 0.5533  2 O 1.84-1.85
U 0.5242 0.7194 0.0379  2 O 1.85-1.95
U 0.5474 0.7821 0.6944  2 O 1.85
U 0.5667 0.2258 0.1942  2 O 1.84-1.91
Cr 0.4193 0.8958 0.3121  1 O 1.62
Cr 0.4459 0.1208 0.8313  3 O 1.75-1.88
Cr 0.6390 0.6145 0.4171  1 O 1.62
Cr 0.6832 0.3980 0.9257  3 O 1.74-1.86
O 0.1957 0.8864 0.3072  1 Cr 1.62
O 0.2287 0.1950 0.8495  1 Cr 1.75
O 0.2684 0.3165 0.5043  1 U 1.85
O 0.2779 0.6151 0.9812  1 U 1.95, 1 Mg 2.04
O 0.2949 0.7293 0.6352  1 U 1.85
O 0.3073 0.2798 0.1327  1 U 1.91, 1 Mg 1.98
O 0.4559 0.9598 0.1528  1 Cr 1.83
O 0.4627 0.0499 0.6634  1 Cr 1.88
O 0.4628 0.8953 0.8791  1 Cr 1.96
O 0.4836 0.6879 0.2597  2 Cr 1.89-1.91
O 0.5058 0.0987 0.3735  1 Cr 1.86
O 0.5210 0.3321 0.7716  2 Cr 1.85-2.00
O 0.5659 0.8176 0.4699  2 Cr 1.89-1.90
O 0.5702 0.4080 0.3592  1 Cr 1.85
O 0.6122 0.5489 0.5779  1 Cr 1.83
O 0.6190 0.6167 0.8682  1 Cr 1.97
O 0.6227 0.4572 0.0831  1 Cr 1.86
O 0.6292 0.1755 0.9803  2 Cr 1.86-2.02
O 0.7718 0.7827 0.1060  1 U 1.85
O 0.7796 0.2360 0.5997  1 U 1.84
O 0.8004 0.8413 0.7376  1 U 1.85
O 0.8213 0.1901 0.2541  1 U 1.84
O 0.8631 0.6340 0.4222  1 Cr 1.62
O 0.9257 0.3856 0.9395  1 Cr 1.74, 1 Mg 1.93

The relative energy among the computed polymorphs comes out at 3 meV per atom. Its space-group type is P1 (1).


No. 2
A relaxed FeC2O6 crystal. Source: the Materials Project database, functional GGA+U.

a b c (Å): 4.8252 8.3466 11.6014
angles (deg): 83.16 78.02 89.97
Last column: nearest neighbours and their distance in Å.
Atoms (fractional coordinates):
Fe 0.1249 0.3751 0.2500  6 O 2.02-2.04
Fe 0.3750 0.1249 0.7499  6 O 2.00-2.03
Fe 0.6250 0.8751 0.2501  6 O 2.00-2.03
Fe 0.8751 0.6249 0.7500  6 O 2.02-2.04
C 0.0718 0.6931 0.3524  3 O 1.28-1.29
C 0.1780 0.0570 0.1478  3 O 1.28-1.29
C 0.3254 0.4388 0.8518  3 O 1.28-1.29
C 0.4245 0.8111 0.6481  3 O 1.28-1.29
C 0.5755 0.1889 0.3519  3 O 1.28-1.29